### Wanted
Now quote all of the lines further down without additions.

### Data
____________
[1]
Density functional theory data (ωB97M-V with the def2-TZVPD basis set) for 2 unconnected molecules or ions with the total composition C3H5ClO2S.

Structure (XYZ):
```
12
C3H5ClO2S | OMol25 | ωB97M-V with the def2-TZVPD basis set
O 0.40244 0.24739 0.89625
C 1.55431 -0.08809 0.92928
O 1.98603 -1.34994 0.75323
S 2.88362 1.04763 1.21964
H 1.18612 -1.88440 0.60304
H 3.86820 0.14311 1.14386
C -2.53717 0.79595 -0.98359
C -1.60808 -0.11578 -0.74566
Cl -0.25172 -0.38023 -1.79421
H -2.50390 1.44296 -1.85411
H -3.36969 0.91244 -0.28416
H -1.61015 -0.77103 0.11643
```

The calculation puts the total energy at -1126.15199 Ha. For the highest occupied orbital energy, the calculation gives -9.56 eV. The value obtained for the energy above the lowest of the compared OMol25 structures with the same formula, charge and spin is 0.071 eV. Its HOMO-LUMO gap is 10.08 eV. The net charge is 0. Its LUMO energy is 0.523 eV. Its SMILES is O=C(O)S.C=CCl.

=====

[2]
Density functional theory data (ωB97M-V with the def2-TZVPD basis set) for 3 unconnected molecules or ions with the total composition C5H12O2.

Structure (XYZ):
```
19
C5H12O2 | OMol25 | ωB97M-V with the def2-TZVPD basis set
C -1.26251 0.71653 -1.36958
C -0.43809 1.34052 -0.53044
C -0.61557 1.42926 0.95961
C 0.63688 1.02501 1.74271
H -1.10292 0.72627 -2.44551
H -2.14444 0.18709 -1.01327
H 0.43611 1.85818 -0.93314
H -0.87886 2.46659 1.21045
H -1.47091 0.81110 1.26163
H 0.49519 1.20146 2.81451
H 0.87355 -0.03453 1.59343
H 1.50401 1.61668 1.42461
C 0.76052 -1.51659 -1.87927
O 0.21879 -2.57532 -1.65367
H 1.32455 -0.97323 -1.10335
H 0.71639 -1.05206 -2.88099
O 0.66144 -2.34877 1.12444
H -0.23071 -2.18140 1.45067
H 0.51658 -2.69678 0.22716
```

The calculation puts the total energy at -348.13274 Ha. For the highest occupied orbital energy, the calculation gives -9.91 eV. The value obtained for the energy above the lowest of the compared OMol25 structures with the same formula, charge and spin is 1.961 eV. Its HOMO-LUMO gap is 10.57 eV. The net charge is 0. Its LUMO energy is 0.661 eV. Its SMILES is C=CCC.C=O.O.

=====

[3]
Density functional theory data (ωB97M-V with the def2-TZVPD basis set) for 13 unconnected molecules or ions with the total composition C31H88O23S13 at a distorted geometry.

Structure (XYZ):
```
155
C31H88O23S13 | OMol25 | ωB97M-V with the def2-TZVPD basis set
O 0.92724 7.33496 1.03307
S 1.21166 6.23505 0.09429
O 0.15254 5.32059 -0.34395
O 1.96951 6.96915 -1.19280
C 1.94296 6.34158 -2.49154
C 3.40829 5.77866 -2.73375
C 2.67745 5.25232 0.71525
H 1.66860 7.19528 -3.11122
H 1.34560 5.45248 -2.69341
H 3.60303 5.69172 -3.80269
H 3.65708 4.88637 -2.15928
H 4.05956 6.62563 -2.51796
H 3.07952 4.64083 -0.09254
H 2.49468 4.78042 1.68066
H 3.35285 6.04647 1.03345
O -2.93843 1.22122 1.66254
S -3.76691 2.40125 1.37901
O -4.84886 2.47519 0.34739
O -4.37171 3.07164 2.79959
C -5.45302 2.27731 3.29162
C -5.46257 2.65305 4.83309
C -2.56649 3.74716 0.86611
H -5.09253 1.25197 3.20903
H -6.31134 2.45613 2.64400
H -5.39862 3.70826 5.09866
H -4.60233 2.13887 5.26174
H -6.22608 2.14347 5.42087
H -1.78607 3.37987 0.19968
H -2.11694 4.25372 1.72017
H -3.25146 4.43577 0.37142
O 2.00037 1.40242 -1.91102
S 0.99932 1.18580 -0.85694
O -0.38699 1.45710 -0.96360
O 1.06775 -0.34196 -0.25276
C -0.11370 -1.13582 -0.12128
C 0.31906 -2.49632 0.38347
C 1.59914 1.82853 0.74613
H -0.45537 -1.24041 -1.15106
H -0.93748 -0.71632 0.45621
H 0.55703 -2.44935 1.44614
H 1.18674 -2.73629 -0.23105
H -0.50081 -3.21109 0.31262
H 2.49778 1.26493 0.99694
H 0.74305 1.67223 1.40246
H 1.79703 2.88695 0.57673
O -5.08287 -0.80146 -4.37690
S -6.29689 -1.27254 -3.65476
O -6.96725 -2.45041 -4.18260
O -5.76839 -1.64783 -2.11059
C -5.03236 -0.73670 -1.31920
C -3.48335 -0.80129 -1.61576
C -7.52973 0.03523 -3.22613
H -5.13640 -1.15494 -0.31803
H -5.51299 0.24066 -1.36222
H -3.21559 -1.85523 -1.54077
H -2.99866 -0.12644 -0.91024
H -3.15609 -0.34889 -2.55190
H -8.08365 0.05429 -4.16471
H -6.88611 0.90309 -3.08233
H -7.95828 -0.42631 -2.33652
____________

### Written answer
[1]
Density functional theory data (ωB97M-V with the def2-TZVPD basis set) for 2 unconnected molecules or ions with the total composition C3H5ClO2S.

Structure (XYZ):
```
12
C3H5ClO2S | OMol25 | ωB97M-V with the def2-TZVPD basis set
O 0.40244 0.24739 0.89625
C 1.55431 -0.08809 0.92928
O 1.98603 -1.34994 0.75323
S 2.88362 1.04763 1.21964
H 1.18612 -1.88440 0.60304
H 3.86820 0.14311 1.14386
C -2.53717 0.79595 -0.98359
C -1.60808 -0.11578 -0.74566
Cl -0.25172 -0.38023 -1.79421
H -2.50390 1.44296 -1.85411
H -3.36969 0.91244 -0.28416
H -1.61015 -0.77103 0.11643
```

The calculation puts the total energy at -1126.15199 Ha. For the highest occupied orbital energy, the calculation gives -9.56 eV. The value obtained for the energy above the lowest of the compared OMol25 structures with the same formula, charge and spin is 0.071 eV. Its HOMO-LUMO gap is 10.08 eV. The net charge is 0. Its LUMO energy is 0.523 eV. Its SMILES is O=C(O)S.C=CCl.

=====

[2]
Density functional theory data (ωB97M-V with the def2-TZVPD basis set) for 3 unconnected molecules or ions with the total composition C5H12O2.

Structure (XYZ):
```
19
C5H12O2 | OMol25 | ωB97M-V with the def2-TZVPD basis set
C -1.26251 0.71653 -1.36958
C -0.43809 1.34052 -0.53044
C -0.61557 1.42926 0.95961
C 0.63688 1.02501 1.74271
H -1.10292 0.72627 -2.44551
H -2.14444 0.18709 -1.01327
H 0.43611 1.85818 -0.93314
H -0.87886 2.46659 1.21045
H -1.47091 0.81110 1.26163
H 0.49519 1.20146 2.81451
H 0.87355 -0.03453 1.59343
H 1.50401 1.61668 1.42461
C 0.76052 -1.51659 -1.87927
O 0.21879 -2.57532 -1.65367
H 1.32455 -0.97323 -1.10335
H 0.71639 -1.05206 -2.88099
O 0.66144 -2.34877 1.12444
H -0.23071 -2.18140 1.45067
H 0.51658 -2.69678 0.22716
```

The calculation puts the total energy at -348.13274 Ha. For the highest occupied orbital energy, the calculation gives -9.91 eV. The value obtained for the energy above the lowest of the compared OMol25 structures with the same formula, charge and spin is 1.961 eV. Its HOMO-LUMO gap is 10.57 eV. The net charge is 0. Its LUMO energy is 0.661 eV. Its SMILES is C=CCC.C=O.O.

=====

[3]
Density functional theory data (ωB97M-V with the def2-TZVPD basis set) for 13 unconnected molecules or ions with the total composition C31H88O23S13 at a distorted geometry.

Structure (XYZ):
```
155
C31H88O23S13 | OMol25 | ωB97M-V with the def2-TZVPD basis set
O 0.92724 7.33496 1.03307
S 1.21166 6.23505 0.09429
O 0.15254 5.32059 -0.34395
O 1.96951 6.96915 -1.19280
C 1.94296 6.34158 -2.49154
C 3.40829 5.77866 -2.73375
C 2.67745 5.25232 0.71525
H 1.66860 7.19528 -3.11122
H 1.34560 5.45248 -2.69341
H 3.60303 5.69172 -3.80269
H 3.65708 4.88637 -2.15928
H 4.05956 6.62563 -2.51796
H 3.07952 4.64083 -0.09254
H 2.49468 4.78042 1.68066
H 3.35285 6.04647 1.03345
O -2.93843 1.22122 1.66254
S -3.76691 2.40125 1.37901
O -4.84886 2.47519 0.34739
O -4.37171 3.07164 2.79959
C -5.45302 2.27731 3.29162
C -5.46257 2.65305 4.83309
C -2.56649 3.74716 0.86611
H -5.09253 1.25197 3.20903
H -6.31134 2.45613 2.64400
H -5.39862 3.70826 5.09866
H -4.60233 2.13887 5.26174
H -6.22608 2.14347 5.42087
H -1.78607 3.37987 0.19968
H -2.11694 4.25372 1.72017
H -3.25146 4.43577 0.37142
O 2.00037 1.40242 -1.91102
S 0.99932 1.18580 -0.85694
O -0.38699 1.45710 -0.96360
O 1.06775 -0.34196 -0.25276
C -0.11370 -1.13582 -0.12128
C 0.31906 -2.49632 0.38347
C 1.59914 1.82853 0.74613
H -0.45537 -1.24041 -1.15106
H -0.93748 -0.71632 0.45621
H 0.55703 -2.44935 1.44614
H 1.18674 -2.73629 -0.23105
H -0.50081 -3.21109 0.31262
H 2.49778 1.26493 0.99694
H 0.74305 1.67223 1.40246
H 1.79703 2.88695 0.57673
O -5.08287 -0.80146 -4.37690
S -6.29689 -1.27254 -3.65476
O -6.96725 -2.45041 -4.18260
O -5.76839 -1.64783 -2.11059
C -5.03236 -0.73670 -1.31920
C -3.48335 -0.80129 -1.61576
C -7.52973 0.03523 -3.22613
H -5.13640 -1.15494 -0.31803
H -5.51299 0.24066 -1.36222
H -3.21559 -1.85523 -1.54077
H -2.99866 -0.12644 -0.91024
H -3.15609 -0.34889 -2.55190
H -8.08365 0.05429 -4.16471
H -6.88611 0.90309 -3.08233
H -7.95828 -0.42631 -2.33652